[Listing]
<<<
# Rb3Na2Tl9
Simulated X-ray diffraction stick pattern, CuKα. Input: DFT lattice parameters and positions (PBE).
Lines closer than 0.1° are merged.

Main lines, by angle (10 to 80 degrees two-theta):
15.4 deg, rel. 35
18.2 deg, rel. 56
27.1 deg, rel. 85
28.2 deg, rel. 94
28.5 deg, rel. 100
30.7 deg, rel. 60
32.5 deg, rel. 36
33.2 deg, rel. 92
33.5 deg, rel. 38
35.8 deg, rel. 60
36.5 deg, rel. 70
43.4 deg, rel. 49

Crystal structure
Lattice parameters (Å, degrees): 10.2352 10.2352 10.2352 149.47 111.39 76.93
Atoms (fractional coordinates):
Rb  0.0000  0.0000  0.0000
Rb  0.2996  0.2996  0.0000
Rb  0.7004  0.7004  0.0000
Na  0.3078  0.5000  0.8078
Na  0.6922  0.5000  0.1922
Tl  0.0290  0.6742  0.3548
Tl  0.1483  0.8676  0.2807
Tl  0.3194  0.6742  0.6452
Tl  0.4131  0.1324  0.2807
Tl  0.5000  0.0000  0.5000
Tl  0.5869  0.8676  0.7193
Tl  0.6806  0.3258  0.3548
Tl  0.8517  0.1324  0.7193
Tl  0.9710  0.3258  0.6452
>>>

[Activity]
Retype the block earlier on from the line with "Crystal structure" to the end without altering anything.

[Done]
Crystal structure
Lattice parameters (Å, degrees): 10.2352 10.2352 10.2352 149.47 111.39 76.93
Atoms (fractional coordinates):
Rb  0.0000  0.0000  0.0000
Rb  0.2996  0.2996  0.0000
Rb  0.7004  0.7004  0.0000
Na  0.3078  0.5000  0.8078
Na  0.6922  0.5000  0.1922
Tl  0.0290  0.6742  0.3548
Tl  0.1483  0.8676  0.2807
Tl  0.3194  0.6742  0.6452
Tl  0.4131  0.1324  0.2807
Tl  0.5000  0.0000  0.5000
Tl  0.5869  0.8676  0.7193
Tl  0.6806  0.3258  0.3548
Tl  0.8517  0.1324  0.7193
Tl  0.9710  0.3258  0.6452